<<<
10
Lattice="-2.2749 5.1300 -3.0046 1.1229 -2.7883 -5.6111 -5.8232 -1.1078 -4.2255" Properties=species:S:1:pos:R:3 comment="Cs2YSeF6, relaxed, DFT GGA-PBE" formation_energy_uncorrected_mev_per_atom=-2706 n_ef_per_ev_atom=0.433 pbc="T T T"
Y 0.0000 0.0000 0.0000
F 0.2959 -0.8611 -4.9767
Cs -4.3370 2.5965 -5.7690
F -1.4479 3.2028 -3.6389
F -3.1428 1.4771 -8.5844
Cs -2.6381 -1.3627 -7.0722
F -3.8323 -0.2433 -4.2568
F -0.8716 1.7718 -6.5187
Se -0.5760 1.1708 -4.3078
F -0.2804 0.5699 -2.0969

***

20
Lattice="-8.0278 -1.2356 1.7138 1.9656 -7.5099 3.7927 1.3760 5.6853 10.5442" Properties=species:S:1:pos:R:3 comment="RbDyI3, relaxed, DFT GGA-PBE" e_above_lowest_polymorph_mev_per_atom=26 formation_energy_uncorrected_mev_per_atom=-1202 n_ef_per_ev_atom=0.597 pbc="T T T"
Rb 1.0121 -1.8750 4.3262
I 2.5167 -3.2801 11.7822
Rb -5.6982 -1.1851 11.7246
Rb -3.0415 3.1300 9.0512
I -7.2029 0.2200 4.2686
I -5.0791 -0.1630 8.0474
Dy -2.3431 -1.5301 8.0254
I -3.1480 -3.0621 5.5092
I -2.7696 -1.2961 14.4475
I -1.9165 -1.7640 1.6033
I -4.4713 2.3481 12.7046
I -3.3774 -3.8073 9.7903
I -1.3087 0.7472 6.2605
Dy -3.0311 -4.3727 2.7533
Dy 0.0000 0.0000 0.0000
I -1.5382 0.0020 10.5416
Dy 0.6880 2.8427 5.2721
I 0.3929 -2.8971 8.0034
Rb -1.6447 -6.1901 6.9996
I -0.2148 -5.4082 3.3462

***

11
Lattice="-6.4388 -3.4867 0.4131 4.7042 0.4675 5.6069 -3.1933 8.2872 0.5416" Properties=species:S:1:pos:R:3 comment="Cs2Np2ZnSe6, relaxed, DFT GGA-PBE" formation_energy_uncorrected_mev_per_atom=-1039 n_ef_per_ev_atom=1.395 pbc="T T T"
Zn -1.5966 4.1436 0.2708
Se -1.5185 2.0961 1.6619
Cs 2.9671 -0.1489 4.7973
Se -3.4094 3.1719 4.8998
Se -4.5842 4.2652 0.8603
Se -4.3188 -0.4079 3.8486
Np -4.3244 1.9738 2.4137
Cs -4.7017 -2.8703 1.2228
Se -0.3436 1.0028 5.7014
Se -0.6091 5.6759 2.7131
Np -0.6035 3.2942 4.1480

----------

A plane-wave DFT calculation with PBE was carried out for a relaxed structure of K2USbSe4.

Geometry as POSCAR:
```
K2USbSe4
1.0
4.344 0.000 0.000
0.000 7.453 0.123
0.000 -2.612 7.557
U Se K Sb
1 4 2 1
Cartesian
2.172 3.727 0.061
0.000 -0.084 6.036
2.172 3.616 6.113
0.000 4.926 1.643
2.172 1.225 1.566
2.172 -1.306 3.778
0.000 2.421 3.840
0.000 0.000 0.000
```

M_tot in μB per formula unit: 2.77
ρ in g/cm³: 5.087
Formation energy from raw total energies in eV per atom: -0.953

A plane-wave DFT calculation with PBE was carried out for a relaxed structure of K2YSbSe4.

Geometry as POSCAR:
```
K2YSbSe4
1.0
-1.215 -2.530 3.159
-3.287 -4.472 -4.846
7.585 -2.541 0.881
K Se Sb Y
2 4 1 1
Cartesian
2.149 -3.507 -1.983
3.185 -2.536 2.020
0.173 -2.851 0.609
2.910 -6.693 -1.416
5.156 -3.212 -0.590
-0.859 -3.801 -3.375
0.000 0.000 0.000
-2.251 -3.501 -0.844
```

M_tot in μB per formula unit: 0.00
ρ in g/cm³: 4.202
Formation energy from raw total energies in eV per atom: -1.236

A plane-wave DFT calculation with PBE was carried out for a relaxed structure of K3Y3SbSe8.

Geometry as POSCAR:
```
K3Y3SbSe8
1.0
8.326 -0.001 0.001
-4.164 7.211 -0.030
0.002 -4.777 7.844
Sb K Se Y
1 3 8 3
Cartesian
0.001 -2.389 3.922
2.081 3.605 -0.014
-2.082 3.605 -0.015
0.000 0.000 0.000
2.129 3.653 5.462
0.000 2.411 2.303
-2.127 3.654 5.462
0.002 -0.033 5.478
2.035 -1.221 2.353
6.291 -1.222 2.354
4.162 2.465 2.338
4.164 0.021 5.513
-2.081 1.217 3.907
4.164 -2.389 3.923
2.082 1.216 3.908
```

M_tot in μB per formula unit: 0.00
ρ in g/cm³: 4.021
Formation energy from raw total energies in eV per atom: -1.444

A plane-wave DFT calculation with PBE was carried out for a relaxed structure of KZnSbSe3.

Geometry as POSCAR:
```
KZnSbSe3
1.0
-0.142 -4.121 0.381
2.885 0.732 8.981
-9.720 0.395 0.650
Zn Se K Sb
2 6 2 2
Cartesian
-1.341 -2.266 8.736
-5.635 -0.728 1.277
-4.511 -2.754 2.284
1.068 -2.406 8.129
-8.045 -0.589 1.884
-6.741 -0.273 5.778
-0.235 -2.721 4.234
-2.466 -0.240 7.728
-5.270 -2.182 8.179
-1.707 -0.812 1.833
0.519 -0.497 6.065
-7.495 -2.497 3.948
```

M_tot in μB per formula unit: 0.00
ρ in g/cm³: 4.145
Formation energy from raw total energies in eV per atom: -0.700
>>>
Your job: transcribe the notes further above from the first line to the one with "unit: 2.77" without additions.
10
Lattice="-2.2749 5.1300 -3.0046 1.1229 -2.7883 -5.6111 -5.8232 -1.1078 -4.2255" Properties=species:S:1:pos:R:3 comment="Cs2YSeF6, relaxed, DFT GGA-PBE" formation_energy_uncorrected_mev_per_atom=-2706 n_ef_per_ev_atom=0.433 pbc="T T T"
Y 0.0000 0.0000 0.0000
F 0.2959 -0.8611 -4.9767
Cs -4.3370 2.5965 -5.7690
F -1.4479 3.2028 -3.6389
F -3.1428 1.4771 -8.5844
Cs -2.6381 -1.3627 -7.0722
F -3.8323 -0.2433 -4.2568
F -0.8716 1.7718 -6.5187
Se -0.5760 1.1708 -4.3078
F -0.2804 0.5699 -2.0969

***

20
Lattice="-8.0278 -1.2356 1.7138 1.9656 -7.5099 3.7927 1.3760 5.6853 10.5442" Properties=species:S:1:pos:R:3 comment="RbDyI3, relaxed, DFT GGA-PBE" e_above_lowest_polymorph_mev_per_atom=26 formation_energy_uncorrected_mev_per_atom=-1202 n_ef_per_ev_atom=0.597 pbc="T T T"
Rb 1.0121 -1.8750 4.3262
I 2.5167 -3.2801 11.7822
Rb -5.6982 -1.1851 11.7246
Rb -3.0415 3.1300 9.0512
I -7.2029 0.2200 4.2686
I -5.0791 -0.1630 8.0474
Dy -2.3431 -1.5301 8.0254
I -3.1480 -3.0621 5.5092
I -2.7696 -1.2961 14.4475
I -1.9165 -1.7640 1.6033
I -4.4713 2.3481 12.7046
I -3.3774 -3.8073 9.7903
I -1.3087 0.7472 6.2605
Dy -3.0311 -4.3727 2.7533
Dy 0.0000 0.0000 0.0000
I -1.5382 0.0020 10.5416
Dy 0.6880 2.8427 5.2721
I 0.3929 -2.8971 8.0034
Rb -1.6447 -6.1901 6.9996
I -0.2148 -5.4082 3.3462

***

11
Lattice="-6.4388 -3.4867 0.4131 4.7042 0.4675 5.6069 -3.1933 8.2872 0.5416" Properties=species:S:1:pos:R:3 comment="Cs2Np2ZnSe6, relaxed, DFT GGA-PBE" formation_energy_uncorrected_mev_per_atom=-1039 n_ef_per_ev_atom=1.395 pbc="T T T"
Zn -1.5966 4.1436 0.2708
Se -1.5185 2.0961 1.6619
Cs 2.9671 -0.1489 4.7973
Se -3.4094 3.1719 4.8998
Se -4.5842 4.2652 0.8603
Se -4.3188 -0.4079 3.8486
Np -4.3244 1.9738 2.4137
Cs -4.7017 -2.8703 1.2228
Se -0.3436 1.0028 5.7014
Se -0.6091 5.6759 2.7131
Np -0.6035 3.2942 4.1480

----------

A plane-wave DFT calculation with PBE was carried out for a relaxed structure of K2USbSe4.

Geometry as POSCAR:
```
K2USbSe4
1.0
4.344 0.000 0.000
0.000 7.453 0.123
0.000 -2.612 7.557
U Se K Sb
1 4 2 1
Cartesian
2.172 3.727 0.061
0.000 -0.084 6.036
2.172 3.616 6.113
0.000 4.926 1.643
2.172 1.225 1.566
2.172 -1.306 3.778
0.000 2.421 3.840
0.000 0.000 0.000
```

M_tot in μB per formula unit: 2.77